Source:
-- begin --
Entry from the Open Molecules 2025 dataset: 10 unconnected molecules or ions with the total composition C40H80O30 in a non-equilibrium geometry (ωB97M-V/def2-TZVPD).

```
150
Properties=species:S:1:pos:R:3:lowdin_charge:R:1
C -10.285 10.965 17.982 -0.06
C -9.152 10.143 18.550 -0.23
O -7.948 10.733 18.072 0.04
C -6.825 10.347 18.663 -0.60
O -6.733 9.408 19.423 0.11
O -5.835 11.132 18.261 0.02
C -4.678 11.168 19.095 -0.03
H -10.175 11.997 18.299 0.08
H -11.245 10.590 18.333 0.08
H -10.246 10.844 16.900 0.08
H -9.194 9.080 18.299 0.13
H -9.168 10.145 19.646 0.13
H -4.312 12.195 19.115 0.09
H -3.876 10.553 18.691 0.10
H -4.914 10.875 20.115 0.09
C -1.307 16.460 27.198 -0.05
C -0.758 15.755 25.977 -0.22
O -1.089 16.455 24.767 0.05
C -0.447 17.576 24.453 -0.59
O -0.779 18.304 23.559 0.14
O 0.598 17.802 25.254 -0.04
C 1.551 18.731 24.774 -0.04
H -0.799 17.422 27.300 0.08
H -1.216 15.845 28.087 0.07
H -2.359 16.705 27.040 0.09
H -1.231 14.775 25.917 0.11
H 0.317 15.583 26.038 0.11
H 1.127 19.735 24.724 0.10
H 1.821 18.547 23.722 0.10
H 2.467 18.599 25.337 0.07
C 6.622 12.426 21.744 -0.06
C 6.054 12.908 23.046 -0.24
O 5.584 11.782 23.758 0.04
C 5.093 12.030 24.969 -0.62
O 5.171 13.081 25.562 0.11
O 4.456 10.967 25.385 0.03
C 3.905 11.036 26.704 -0.01
H 7.497 11.795 21.886 0.09
H 6.863 13.256 21.080 0.08
H 5.876 11.842 21.198 0.07
H 5.252 13.631 22.868 0.12
H 6.809 13.457 23.615 0.12
H 3.349 10.130 26.907 0.10
H 3.251 11.909 26.745 0.08
H 4.684 11.150 27.459 0.08
C 2.895 15.234 24.377 -0.05
C 2.079 13.989 24.206 -0.21
O 0.869 14.176 23.492 0.05
C 0.269 13.107 22.961 -0.61
O 0.687 11.982 23.002 0.13
O -0.785 13.530 22.305 0.02
C -1.636 12.537 21.731 -0.02
H 3.414 15.664 23.516 0.09
H 3.694 15.051 25.098 0.05
H 2.301 16.038 24.818 0.06
H 1.810 13.661 25.220 0.12
H 2.711 13.190 23.806 0.12
H -2.368 13.023 21.100 0.09
H -2.098 11.897 22.479 0.08
H -1.087 11.881 21.046 0.10
C -0.320 5.843 20.086 -0.06
C 1.132 6.261 20.188 -0.21
O 1.189 7.459 20.960 0.04
C 2.319 8.156 20.877 -0.62
O 3.250 7.908 20.167 0.14
O 2.242 9.168 21.726 0.00
C 3.280 10.131 21.630 -0.04
H -0.402 4.814 19.726 0.08
H -0.851 6.480 19.376 0.08
H -0.831 5.853 21.047 0.07
H 1.572 6.361 19.198 0.12
H 1.706 5.479 20.696 0.13
H 3.256 10.620 20.656 0.10
H 4.249 9.664 21.804 0.10
H 3.118 10.883 22.397 0.07
C 4.606 15.104 28.480 -0.03
C 5.298 13.782 28.686 -0.19
O 5.540 13.635 30.098 0.04
C 5.535 12.393 30.556 -0.64
O 5.478 11.398 29.887 0.13
O 5.590 12.444 31.880 0.00
C 5.619 11.177 32.530 -0.04
H 5.278 15.954 28.627 0.07
H 3.839 15.193 29.259 0.07
H 4.093 15.249 27.532 0.07
H 6.234 13.743 28.131 0.13
H 4.640 12.965 28.410 0.09
H 5.886 11.344 33.567 0.09
H 6.322 10.490 32.063 0.10
H 4.633 10.707 32.484 0.10
C -0.145 17.368 20.400 -0.05
C -1.606 17.301 20.816 -0.19
O -2.351 16.621 19.777 0.04
C -2.892 17.254 18.760 -0.63
O -3.603 16.699 17.982 0.14
O -2.554 18.551 18.708 -0.03
C -2.940 19.247 17.525 -0.04
H -0.066 17.991 19.510 0.07
H 0.180 16.353 20.172 0.08
H 0.470 17.768 21.203 0.06
H -2.016 18.289 20.987 0.12
H -1.705 16.673 21.691 0.11
H -3.995 19.078 17.316 0.10
H -2.374 18.884 16.664 0.10
H -2.714 20.296 17.674 0.09
C 2.018 13.278 31.304 -0.04
C 1.195 13.640 30.077 -0.20
O 1.137 12.501 29.216 0.04
C 0.228 12.538 28.250 -0.62
O -0.739 13.248 28.214 0.13
O 0.558 11.629 27.349 0.01
C -0.369 11.469 26.272 -0.02
H 3.089 13.282 31.110 0.06
H 1.688 12.331 31.732 0.09
H 1.851 14.028 32.083 0.09
H 1.705 14.449 29.540 0.11
H 0.206 14.004 30.347 0.12
H -1.263 11.011 26.699 0.11
H 0.047 10.729 25.595 0.07
H -0.572 12.374 25.708 0.09
C 5.929 19.320 29.681 -0.07
C 5.284 19.150 28.337 -0.21
O 6.231 18.490 27.481 0.04
C 5.724 17.928 26.402 -0.62
O 4.562 17.734 26.166 0.11
O 6.750 17.541 25.637 0.01
C 6.412 16.649 24.580 -0.04
H 5.207 19.694 30.407 0.08
H 6.766 20.019 29.624 0.08
H 6.336 18.391 30.082 0.08
H 4.999 20.097 27.880 0.13
H 4.384 18.535 28.415 0.12
H 5.870 15.778 24.950 0.07
H 7.369 16.342 24.164 0.10
H 5.830 17.119 23.786 0.10
C -4.786 6.205 20.397 -0.06
-- stop --

Job:
Could you give back everything earlier on unchanged?

Result:
Entry from the Open Molecules 2025 dataset: 10 unconnected molecules or ions with the total composition C40H80O30 in a non-equilibrium geometry (ωB97M-V/def2-TZVPD).

```
150
Properties=species:S:1:pos:R:3:lowdin_charge:R:1
C -10.285 10.965 17.982 -0.06
C -9.152 10.143 18.550 -0.23
O -7.948 10.733 18.072 0.04
C -6.825 10.347 18.663 -0.60
O -6.733 9.408 19.423 0.11
O -5.835 11.132 18.261 0.02
C -4.678 11.168 19.095 -0.03
H -10.175 11.997 18.299 0.08
H -11.245 10.590 18.333 0.08
H -10.246 10.844 16.900 0.08
H -9.194 9.080 18.299 0.13
H -9.168 10.145 19.646 0.13
H -4.312 12.195 19.115 0.09
H -3.876 10.553 18.691 0.10
H -4.914 10.875 20.115 0.09
C -1.307 16.460 27.198 -0.05
C -0.758 15.755 25.977 -0.22
O -1.089 16.455 24.767 0.05
C -0.447 17.576 24.453 -0.59
O -0.779 18.304 23.559 0.14
O 0.598 17.802 25.254 -0.04
C 1.551 18.731 24.774 -0.04
H -0.799 17.422 27.300 0.08
H -1.216 15.845 28.087 0.07
H -2.359 16.705 27.040 0.09
H -1.231 14.775 25.917 0.11
H 0.317 15.583 26.038 0.11
H 1.127 19.735 24.724 0.10
H 1.821 18.547 23.722 0.10
H 2.467 18.599 25.337 0.07
C 6.622 12.426 21.744 -0.06
C 6.054 12.908 23.046 -0.24
O 5.584 11.782 23.758 0.04
C 5.093 12.030 24.969 -0.62
O 5.171 13.081 25.562 0.11
O 4.456 10.967 25.385 0.03
C 3.905 11.036 26.704 -0.01
H 7.497 11.795 21.886 0.09
H 6.863 13.256 21.080 0.08
H 5.876 11.842 21.198 0.07
H 5.252 13.631 22.868 0.12
H 6.809 13.457 23.615 0.12
H 3.349 10.130 26.907 0.10
H 3.251 11.909 26.745 0.08
H 4.684 11.150 27.459 0.08
C 2.895 15.234 24.377 -0.05
C 2.079 13.989 24.206 -0.21
O 0.869 14.176 23.492 0.05
C 0.269 13.107 22.961 -0.61
O 0.687 11.982 23.002 0.13
O -0.785 13.530 22.305 0.02
C -1.636 12.537 21.731 -0.02
H 3.414 15.664 23.516 0.09
H 3.694 15.051 25.098 0.05
H 2.301 16.038 24.818 0.06
H 1.810 13.661 25.220 0.12
H 2.711 13.190 23.806 0.12
H -2.368 13.023 21.100 0.09
H -2.098 11.897 22.479 0.08
H -1.087 11.881 21.046 0.10
C -0.320 5.843 20.086 -0.06
C 1.132 6.261 20.188 -0.21
O 1.189 7.459 20.960 0.04
C 2.319 8.156 20.877 -0.62
O 3.250 7.908 20.167 0.14
O 2.242 9.168 21.726 0.00
C 3.280 10.131 21.630 -0.04
H -0.402 4.814 19.726 0.08
H -0.851 6.480 19.376 0.08
H -0.831 5.853 21.047 0.07
H 1.572 6.361 19.198 0.12
H 1.706 5.479 20.696 0.13
H 3.256 10.620 20.656 0.10
H 4.249 9.664 21.804 0.10
H 3.118 10.883 22.397 0.07
C 4.606 15.104 28.480 -0.03
C 5.298 13.782 28.686 -0.19
O 5.540 13.635 30.098 0.04
C 5.535 12.393 30.556 -0.64
O 5.478 11.398 29.887 0.13
O 5.590 12.444 31.880 0.00
C 5.619 11.177 32.530 -0.04
H 5.278 15.954 28.627 0.07
H 3.839 15.193 29.259 0.07
H 4.093 15.249 27.532 0.07
H 6.234 13.743 28.131 0.13
H 4.640 12.965 28.410 0.09
H 5.886 11.344 33.567 0.09
H 6.322 10.490 32.063 0.10
H 4.633 10.707 32.484 0.10
C -0.145 17.368 20.400 -0.05
C -1.606 17.301 20.816 -0.19
O -2.351 16.621 19.777 0.04
C -2.892 17.254 18.760 -0.63
O -3.603 16.699 17.982 0.14
O -2.554 18.551 18.708 -0.03
C -2.940 19.247 17.525 -0.04
H -0.066 17.991 19.510 0.07
H 0.180 16.353 20.172 0.08
H 0.470 17.768 21.203 0.06
H -2.016 18.289 20.987 0.12
H -1.705 16.673 21.691 0.11
H -3.995 19.078 17.316 0.10
H -2.374 18.884 16.664 0.10
H -2.714 20.296 17.674 0.09
C 2.018 13.278 31.304 -0.04
C 1.195 13.640 30.077 -0.20
O 1.137 12.501 29.216 0.04
C 0.228 12.538 28.250 -0.62
O -0.739 13.248 28.214 0.13
O 0.558 11.629 27.349 0.01
C -0.369 11.469 26.272 -0.02
H 3.089 13.282 31.110 0.06
H 1.688 12.331 31.732 0.09
H 1.851 14.028 32.083 0.09
H 1.705 14.449 29.540 0.11
H 0.206 14.004 30.347 0.12
H -1.263 11.011 26.699 0.11
H 0.047 10.729 25.595 0.07
H -0.572 12.374 25.708 0.09
C 5.929 19.320 29.681 -0.07
C 5.284 19.150 28.337 -0.21
O 6.231 18.490 27.481 0.04
C 5.724 17.928 26.402 -0.62
O 4.562 17.734 26.166 0.11
O 6.750 17.541 25.637 0.01
C 6.412 16.649 24.580 -0.04
H 5.207 19.694 30.407 0.08
H 6.766 20.019 29.624 0.08
H 6.336 18.391 30.082 0.08
H 4.999 20.097 27.880 0.13
H 4.384 18.535 28.415 0.12
H 5.870 15.778 24.950 0.07
H 7.369 16.342 24.164 0.10
H 5.830 17.119 23.786 0.10
C -4.786 6.205 20.397 -0.06